Don’t Judge a Game by its Genre

Heroes of the Storm is a MOBA. I know what you’re thinking: another one. But don’t let that label put you off or give you preconceptions about what this game is. When we think of MOBAs we think of last hitting, poor team work, towers, jungles and egotistical carries. So what makes Heroes so different to League of Legends or Dota2?

Firstly there are the different Battlegrounds. Each Battleground presents you with different ways in which you can win or lose the game. Obviously the basics are the same – the aim of the game is to ultimately destroy the enemy team’s palace. However, it’s not just as simple as knocking down a few turrets, achieving an ace and winning the game. First of all you have to get through the gates and forts of the lanes. Again, not as easy as it sounds. It is possible to play like any other MOBA and just push lanes, destroy towers and have team fights but likelihood is that you’ll lose. The thing about the maps in this game is the objectives. Objectives are key to winning or losing the game. Knowing when to take them or which is most important to focus is vital to your team’s success.

Heroes of the Storm

Crystal structures, kept here for reference =
[1]
# Mn4FeC2
Simulated powder XRD pattern, Cu Kα X-rays. Input: a structure optimized by DFT (PBE).
Peak positions follow from Bragg's law for the DFT cell and can differ from measured ones.

```
Mn4FeC2
1.0
5.7892 -2.2435 0.0000
5.7892 2.2435 0.0000
-0.6431 0.0000 4.9618
Mn Fe C
8 2 4
direct
0.0000 0.0000 0.0000 Mn
0.0521 0.3825 0.5590 Mn
0.2442 0.5614 0.3368 Mn
0.4168 0.3856 0.8308 Mn
0.4386 0.7558 0.6632 Mn
0.6144 0.5832 0.1692 Mn
0.6175 0.9479 0.4410 Mn
0.8543 0.1457 0.5000 Mn
0.2235 0.2103 0.0606 Fe
0.7897 0.7765 0.9394 Fe
0.2239 0.0062 0.3282 C
0.6288 0.1440 0.1697 C
0.8560 0.3712 0.8303 C
0.9938 0.7761 0.6718 C
```

Peak list (12 most intense, 2θ from 5° to 70°, by angle)
| two_theta | Rel. int. |
| --- | --- |
| 40.20 | 13 |
| 41.46 | 35 |
| 43.27 | 10 |
| 44.31 | 100 |
| 45.13 | 15 |
| 45.66 | 22 |
| 46.04 | 13 |
| 48.03 | 17 |
| 50.17 | 9 |
| 50.62 | 15 |
| 51.70 | 12 |
| 59.11 | 12 |

[2]
# Mn2FeC6N6
Simulated powder XRD pattern, Cu Kα X-rays. Input: a structure optimized by DFT (PBE).
Peak positions follow from Bragg's law for the DFT cell and can differ from measured ones.

```
Mn2FeC6N6
1.0
6.0347 0.0000 0.0000
-3.0173 5.2262 0.0000
0.0000 0.0000 6.4438
Mn Fe C N
2 1 6 6
direct
0.3333 0.6667 0.0000 Mn
0.6667 0.3333 0.0000 Mn
0.0000 0.0000 0.5000 Fe
0.0000 0.2425 0.6791 C
0.0000 0.7575 0.3209 C
0.2425 0.0000 0.6791 C
0.2425 0.2425 0.3209 C
0.7575 0.0000 0.3209 C
0.7575 0.7575 0.6791 C
0.0000 0.3815 0.8096 N
0.0000 0.6185 0.1904 N
0.3815 0.0000 0.8096 N
0.3815 0.3815 0.1904 N
0.6185 0.0000 0.1904 N
0.6185 0.6185 0.8096 N
```

Peak list (12 most intense, 2θ from 5° to 70°, by angle)
| two_theta | Rel. int. |
| --- | --- |
| 13.74 | 8 |
| 21.90 | 100 |
| 29.61 | 16 |
| 32.77 | 24 |
| 37.13 | 13 |
| 40.98 | 46 |
| 48.18 | 14 |
| 52.53 | 13 |
| 55.37 | 10 |
| 64.04 | 9 |
| 66.07 | 8 |
| 68.70 | 8 |

[3]
# PmMnFeC2
Simulated powder XRD pattern, Cu Kα X-rays. Input: a structure optimized by DFT (PBE).
Peak positions follow from Bragg's law for the DFT cell and can differ from measured ones.

```
PmMnFeC2
1.0
3.5032 0.0000 0.0000
0.0000 3.5032 0.0000
0.0000 0.0000 9.9505
Pm Mn Fe C
2 2 2 4
direct
0.0000 0.0000 0.0000 Pm
0.5000 0.5000 0.5000 Pm
0.0000 0.5000 0.7500 Mn
0.5000 0.0000 0.2500 Mn
0.0000 0.5000 0.2500 Fe
0.5000 0.0000 0.7500 Fe
0.0000 0.0000 0.3338 C
0.0000 0.0000 0.6662 C
0.5000 0.5000 0.1662 C
0.5000 0.5000 0.8338 C
```

Peak list (12 most intense, 2θ from 5° to 70°, by angle)
| two_theta | Rel. int. |
| --- | --- |
| 17.83 | 1 |
| 26.98 | 87 |
| 36.11 | 35 |
| 36.26 | 3 |
| 37.33 | 57 |
| 40.69 | 100 |
| 52.22 | 29 |
| 52.91 | 14 |
| 59.75 | 20 |
| 65.13 | 24 |
| 65.94 | 20 |
| 68.03 | 25 |

[4]
# Mn5Fe5Si2C2
Simulated powder XRD pattern, Cu Kα X-rays. Input: a structure optimized by DFT (PBE).
Peak positions follow from Bragg's law for the DFT cell and can differ from measured ones.

```
Mn5Fe5Si2C2
1.0
4.9965 -3.9388 0.0000
4.9965 3.9388 0.0000
0.0000 0.0000 7.3913
Mn Fe Si C
10 10 4 4
direct
0.0118 0.6902 0.1956 Mn

In Blackheart’s Bay, for example, you can collect doubloons from mercenary camps or from two chests which appear periodically. When you hand in enough, the ghost of Blackheart will turn his ship and bombard your enemy’s gates, forts and palace for 12 shots. If you ignore the doubloons you will very quickly lose the game. For this reason you can expect a very action orientated game with constant conflict between teams occurring when trying to collect or turn in doubloons. To make it more interesting your hero carries the doubloons; meaning if you die you drop them and the enemy can pick them up. Working as a team to protect each other or ambush the enemy can quickly turn the tide of a game. Similarly the other Battlegrounds offer different objectives which can swing the game in your favour. Communication with your team is incredibly important. If, for example, the enemy team has earned the favour of Blackheart you must make the decision as to whether you should defend or perhaps get hold of another objective such as the Grave Golem which may distract the enemy from pushing as hard.

### The entry is interrupted by crystal structures
~~~
No. 1
Computed X-ray diffraction stick pattern
Compound: LaTb2Pm6Y3
Radiation: λ = 1.5418 Å (Cu Kα)
Structure: DFT lattice parameters and positions (PBE)
Peak positions follow from Bragg's law for the DFT cell and can differ from measured ones.

Top 10 peaks for 10 to 90 degrees two-theta, in order of rising 2θ:
hkl 1 3 1, 30.17 deg, I = 100
hkl 0 0 4, 30.30 deg, I = 33
hkl 2 0 2, 35.02 deg, I = 67
hkl 0 6 0, 50.28 deg, I = 24
hkl 1 3 5, 50.44 deg, I = 24
hkl 4 0 0, 59.81 deg, I = 43
hkl 2 0 6, 59.98 deg, I = 14
hkl 2 6 2, 62.74 deg, I = 12
hkl 4 6 0, 81.79 deg, I = 12
hkl 5 3 1, 84.42 deg, I = 11

Structural model:
```
data_LaTb2Pm6Y3
_space_group_name_H-M_alt 'C 1 2/m 1'
_space_group_IT_number 12
_space_group_name_Hall '-C 2y'
_cell_length_a 6.2863
_cell_length_b 10.8894
_cell_length_c 11.9844
_cell_angle_alpha 90.00
_cell_angle_beta 100.07
_cell_angle_gamma 90.00
loop_
_atom_site_label
_atom_site_fract_x
_atom_site_fract_y
_atom_site_fract_z
La1 0.0000 0.0000 0.0000
Tb1 0.0000 0.3335 0.0000
Pm1 0.2484 0.3328 0.7483
Pm2 0.2498 0.0000 0.7480
Y1 0.0000 0.1672 0.5000
Y2 0.0000 0.5000 0.5000
```

No. 2
Computed X-ray diffraction stick pattern
Compound: Tm4CoBi3
Radiation: λ = 1.5418 Å (Cu Kα)
Structure: DFT lattice parameters and positions (PBE)
Peak positions follow from Bragg's law for the DFT cell and can differ from measured ones.

Top 10 peaks for 10 to 90 degrees two-theta, in order of rising 2θ:
hkl 0 2 0, 19.91 deg, I = 41
hkl 2 1 0, 20.42 deg, I = 100
hkl 0 0 2, 28.96 deg, I = 56
hkl 2 3 0, 35.15 deg, I = 84
hkl 2 1 2, 35.70 deg, I = 35
hkl 4 0 0, 36.05 deg, I = 42
hkl 1 2 2, 36.56 deg, I = 21
hkl 2 3 2, 46.17 deg, I = 53
hkl 4 0 2, 46.89 deg, I = 28
hkl 6 3 2, 71.99 deg, I = 23

Structural model:
```
data_Tm4CoBi3
_space_group_name_H-M_alt 'P m n 21'
_space_group_IT_number 31
_space_group_name_Hall 'P 2ac -2'
_cell_length_a 9.9645
_cell_length_b 8.9190
_cell_length_c 6.1657
_cell_angle_alpha 90.00
_cell_angle_beta 90.00
_cell_angle_gamma 90.00
loop_
_atom_site_label
_atom_site_fract_x
_atom_site_fract_y
_atom_site_fract_z
Tm1 0.0000 0.1229 0.0000
Tm2 0.0000 0.8248 0.6524
Tm3 0.2257 0.6851 0.0118
Co1 0.0000 0.8314 0.0901
Bi1 0.0000 0.1438 0.4950
Bi2 0.2492 0.3348 0.0050
```

No. 3
Computed X-ray diffraction stick pattern
Compound: FeAg
Radiation: λ = 1.5418 Å (Cu Kα)
Structure: DFT lattice parameters and positions (PBE)
Peak positions follow from Bragg's law for the DFT cell and can differ from measured ones.

Top 10 peaks for 10 to 90 degrees two-theta, in order of rising 2θ:
hkl 1 1 -1, 33.86 deg, I = 21
hkl 2 0 -3, 38.36 deg, I = 31
hkl 2 0 2, 39.33 deg, I = 56
hkl 1 1 -2, 40.15 deg, I = 100
hkl 4 0 -2, 40.37 deg, I = 44
hkl 3 1 0, 43.98 deg, I = 84
hkl 2 0 -4, 51.31 deg, I = 16
hkl 1 1 4, 69.13 deg, I = 15
hkl 5 1 2, 77.19 deg, I = 14
hkl 2 2 2, 78.11 deg, I = 13

Structural model:
```
data_FeAg
_space_group_name_H-M_alt 'C 1 2/m 1'
_space_group_IT_number 12
_space_group_name_Hall '-C 2y'
_cell_length_a 9.3996
_cell_length_b 2.8945
~~~

Secondly there is experience and last hitting. Heroes of the Storm offers global experience for your team; now, this may bring a look of disgust to a regular MOBA player’s face but give it a chance. This means that one player on your team can’t just snowball and carry a game, it also means that no one can single-handedly throw a game by losing their lane. Having at least one person in each lane is enough, as long as you’re in exp range you will gain experience for your team and stop the enemy from getting too far ahead. Even if you’re in a poor lane match up where you can’t even get close to the minions it doesn’t matter. Last hitting is not essential like in other MOBAs. Staying in lane can gain you an early advantage. For example, if the enemy decides that on Dragon Shire they are going to focus on capturing the two shrines they will obviously have the advantage in that they could get the Dragon Knight. However, they have also spent a significant amount of time with less people in lane, which means less experience for the whole team and you gain an early level advantage. Then of course you have the decision to make as to which is more important, gaining a level advantage or taking objectives, or a combination of the two.

Heroes of the Storm

Next up there are items or the lack of them. Yes, shock horror there are no items. Instead you have talents, this is why it is so important to get as much experience as possible. If your team has the level advantage it can easily win a team fight and allow you to get an objective. Talents act in a similar way to items in that they give your heroes boosts to stats, their abilities (Q,W,E,R and D) and allow you to adapt that hero to the way you want to play. At the same time it also means there is no one set build for a hero. You can build in a way which best benefits your team and your play style. For example: if you find a lot of your heroes are quite squishy and damage orientated, you may want to pick skills which make you tanky, or allow you to protect your team with heals, shields or CC. Every hero has their own talents as well as some more generic talents to choose from when you hit levels 1, 4, 7, 10, 13, 16 and 20. You unlock your heroic ability at level 10, again you have a choice. I’ll use Diablo as an example you can either pick Apocalypse which is an AoE damage and stun, good for crowd control especially if you have someone on your team who is a bit of a glass cannon. Or you can chose Lightning Breath which roots you to the spot while you deal a tremendous amount of damage in the direction you indicate with the mouse cursor. This option is more useful if you are playing more damage orientated instead of as a tank.

There are also mounts to get you into lane or to objectives faster. You can’t mount whilst being attacked and you automatically dismount if you attack. Mounts make a significant difference to running speed, only Heroes who couldn’t ride don’t get them but they generally have a faster movement speed or some kind of teleport to replace them. They’re an important thing to remember because at any moment you could need to group up or rush to an objective and forgetting to mount or not being able to could potentially lose you an objective or team fight.

Heroes of the Storm

Those are the key differences to bear in mind when you play Heroes of the Storm. However, it is still a MOBA, the basic premise of the game is the same. Just remember that objectives and team work are even more important than ever, ignoring an objective or refusing to work with the team could lose you the game. But even if you’re down to your last fort, a good call to get a Grave Golem or capture the last tribute on Cursed Hollow could suddenly win you the game, so never give up!